Co-production is a novel governance method for developing nature-based solutions where there are a lot of actors (individuals, groups or organisations) involved. Co-production is about collaboration, empowerment and producing shared results, such as policies and visions.
This guidebook introduces what co-production is.
The guidebook covers:
- The outputs and benefits of co-production
- Principles to define and evaluate co-production processes
- How to design co-production processes step by step
Download the Co-Production guidebook
Download A practical guide to using co-production for nature-based solutions
Effective Storytelling for Nature-based Solutions
The activity book uses the experiences of the Connecting Nature city partners involved in the project. It helps Nature-based Solutions practitioners understand how they should think about their narrative through a number of incremental learning team tasks. It explains why a clearly communicated narrative is essential and guides you through the process of creating yours.
The Sarajevo Process
The Sarajevo Process (Pilot) is a co-creative arts-based engagement approach that has been developed by Connecting Nature partners in Trinity College Dublin and University of East London, in collaboration with cities. The process draws on our memories, places us in nature and captures our embodied experiences to help us tell our stories with/in nature.
Find out more about the Sarajevo Process.
The unusual suspectS
Connecting Nature aims to engage widely with citizens and stakeholders in the co-creation, co-production and co-management of large-scale nature-based solutions in our cities. Achieving this idealistic ambition is proving more challenging to practice than to preach! In practice, we have come across many roadblocks and barriers to engagement in the 11 cities directly involved in planning large scale nature-based solutions through Connecting Nature.
These records of molecules were left in the entry by mistake =
'''
{
  "formula": "C3H11N5",
  "method": "ωB97M-V/def2-TZVPD",
  "e_homo_ev": -7.532,
  "smiles": "CCN(N)/C(N)=N\\N",
  "relative_energy_kj_mol": 161.7,
  "e_tot_ha": -394.6241,
  "elements": ["C", "C", "N", "N", "C", "N", "N", "N", "H", "H", "H", "H", "H", "H", "H", "H", "H", "H", "H"],
  "xyz": [[1.477, -0.882, 1.093], [0.744, -0.992, -0.247], [0.151, 0.260, -0.697], [1.061, 1.269, -1.087], [-0.974, 0.722, 0.008], [-0.962, 2.043, 0.388], [-2.048, 0.064, 0.202], [-2.187, -1.238, -0.317], [0.787, -0.545, 1.864], [2.315, -0.187, 1.043], [1.865, -1.857, 1.377], [1.433, -1.330, -1.029], [-0.063, -1.719, -0.146], [1.868, 1.314, -0.463], [1.395, 1.058, -2.024], [-1.724, 2.302, 0.990], [-0.063, 2.447, 0.593], [-1.897, -1.277, -1.294], [-3.178, -1.452, -0.256]],
  "forces_ev_per_a": [[-0.17, 0.09, -0.33], [0.16, -0.17, 0.26], [0.12, 0.13, -0.21], [0.21, -0.08, -0.05], [-0.28, -0.16, -0.41], [0.20, 0.30, 0.11], [-0.23, -0.06, 0.42], [0.05, -0.04, -0.02], [-0.04, 0.00, 0.11], [0.09, 0.02, 0.05], [0.08, -0.08, 0.08], [-0.14, 0.02, 0.05], [0.12, -0.01, -0.06], [-0.13, -0.16, -0.10], [-0.11, 0.05, 0.21], [0.00, -0.05, 0.04], [-0.10, 0.06, -0.02], [-0.12, 0.05, 0.01], [0.29, 0.07, -0.14]],
  "nbo_charge": [-0.632, -0.238, -0.319, -0.658, 0.516, -0.812, -0.397, -0.681, 0.215, 0.189, 0.220, 0.188, 0.240, 0.333, 0.359, 0.396, 0.384, 0.336, 0.362]
}

=====

The following is a DFT calculation (ωB97M-V/def2-TZVPD) of KN2O6 as an isolated structure at a distorted geometry.

The geometry in XYZ format:
```
9
Properties=species:S:1:pos:R:3:lowdin_charge:R:1
K -0.272 -0.280 0.223 1.151
N 0.456 -1.497 -1.869 -0.671
O -0.736 -1.389 -2.099 -0.060
O 1.173 -1.826 -2.766 0.015
O 0.881 -1.389 -0.698 -0.357
N -0.302 1.542 1.816 -0.647
O -0.400 2.490 2.654 -0.054
O -0.989 0.497 1.967 -0.259
O 0.188 1.851 0.771 -0.117
```

The calculation puts the gap between HOMO and LUMO at 0.3008 Eh. As for the net charge: -1. The calculation puts the highest occupied orbital energy at -0.199 Eh. Its maximum force is 10.3 eV/A.

The following is a DFT calculation (ωB97M-V/def2-TZVPD) of C24H26GeN2Pt as an isolated structure.

The geometry in XYZ format:
```
54
Properties=species:S:1:pos:R:3:lowdin_charge:R:1
Pt 0.394 -0.374 0.171 1.315
C 0.391 -4.687 1.323 0.003
C 1.296 -5.219 0.415 0.012
C 1.928 -4.375 -0.486 0.037
C 1.638 -3.021 -0.451 -0.187
N 0.757 -2.515 0.428 -0.043
C 0.149 -3.328 1.294 -0.094
C 2.233 -2.019 -1.374 -0.164
C 3.229 -2.317 -2.283 0.037
C 3.713 -1.328 -3.127 0.021
C 3.183 -0.052 -3.048 0.009
C 2.203 0.210 -2.114 -0.046
N 1.745 -0.754 -1.290 -0.045
H -0.124 -5.310 2.040 0.130
H 1.505 -6.280 0.404 0.135
H 2.629 -4.770 -1.205 0.124
H -0.551 -2.869 1.984 0.100
H 3.631 -3.317 -2.332 0.126
H 4.496 -1.557 -3.837 0.138
H 3.521 0.745 -3.694 0.134
H 1.764 1.188 -1.998 0.116
C -2.700 -0.870 1.434 -0.198
Ge -1.430 0.280 2.359 0.845
C -1.078 -0.290 4.201 -0.172
C -1.781 2.166 2.221 -0.175
C 0.689 -0.102 2.031 -0.252
H -3.691 -0.621 1.820 0.048
H -2.531 -1.930 1.623 0.018
'''
Find out more about these challenges and the lessons learned.
For more information on co-production approaches and tools, visit:
The European Union Horizon 2020 project SIC (Social Innovation Community): https://www.siceurope.eu/, and for the tools: https://www.silearning.eu/tools/
- The European Union Interreg project MUSIC (Mitigation in Urban Areas: Solutions for Innovative Cities): https://drift.eur.nl/projects/music/, the tools are in the guidance manual, see Roorda et al. 2014: https://drift.eur.nl/wp-content/uploads/2016/11/DRIFT-Transition_management_in_the_urban_context-guidance_manual.pdf
- Bound and Mulgan (2019), tools are in the compendium: https://www.nesta.org.uk/report/compendium-innovation-methods/
- The collective action toolkit for social impact: https://www.frogdesign.com/work/frog-collective-action-toolkit